2016-09-15 56 views

因此,我有一個在單元格A2中開始的Excel中的商業名稱列表,下拉到A3,A4等等。我需要做的是檢索這些企業的地址,並返回它旁邊的單元格中的地址(B2,B3,B4 ...)。如何使用VBA,Excel搜索Google的公司名稱和返回地址



我首先閱讀[Google API文檔](https://developers.google.com/maps/web-services/overview)。 – Comintern


這個問題在很多形式上都被問及無數次。請搜索Google和/或SO本身的方法。你應該很快找到一些代碼,所以使用它,當你陷入困境時,你可以問一些關於它的具體問題。最後,是的,有一種方法。 – BruceWayne


我在這裏發佈之前已經做了大量的研究,並且找不到適合我的東西!只是問一個問題,看看有沒有人可以幫助我。 – MRW93



取決於你打算用這些數據做什麼,Bing地圖可能不是一個選擇,因爲terms of use有以下限制:





enter image description here

Sub myTest() 
    Dim xhrRequest As XMLHTTP60 
    Dim domDoc As DOMDocument60 
    Dim domDoc2 As DOMDocument60 
    Dim placeID As String 
    Dim query As String 
    Dim nodes As IXMLDOMNodeList 
    Dim node As IXMLDOMNode 

    Dim rng As Range, cell As Range 

    Set rng = Range("A1:A5") 

Here the page breaks off for molecular data =
┌──
Here is a structure of composition C25H36BN6O2PtS4 from the OMol25 dataset. Energies are from ωB97M-V/def2-TZVPD.

Last column: Löwdin charge in e.
Geometry (Å):
Pt (2.05, -1.07, -0.59)  1.045
N (6.06, -0.69, -1.97)  0.160
C (6.38, -1.96, -1.56)  0.000
C (5.25, -2.48, -0.99)  -0.070
N (4.25, -1.54, -1.07)  -0.023
C (4.77, -0.48, -1.65)  -0.262
C (3.95, 0.71, -1.80)  -0.217
N (2.73, 0.73, -1.25)  -0.067
C (2.15, 1.94, -1.56)  -0.050
C (3.04, 2.66, -2.29)  0.013
N (4.16, 1.87, -2.43)  0.175
H (6.70, -0.06, -2.42)  0.186
H (7.36, -2.38, -1.70)  0.146
H (5.10, -3.45, -0.56)  0.125
H (1.16, 2.20, -1.24)  0.130
H (2.98, 3.65, -2.72)  0.149
H (4.99, 2.13, -2.95)  0.192
C (-2.10, -4.62, 2.10)  -0.511
C (-2.73, -4.15, 0.78)  -0.487
S (-1.96, -2.73, -0.05)  0.930
C (-1.20, -3.48, -1.51)  -0.489
C (0.08, -4.26, -1.28)  -0.408
S (1.60, -3.43, -0.65)  0.889
C (1.79, -4.19, 0.99)  -0.498
C (0.62, -4.02, 1.95)  -0.564
S (-0.51, -5.44, 1.93)  0.929
H (-2.76, -5.37, 2.54)  0.089
H (-2.01, -3.80, 2.81)  0.087
H (-3.75, -3.83, 1.01)  0.084
H (-2.80, -4.97, 0.07)  0.089
H (-1.05, -2.67, -2.21)  0.067
H (-1.91, -4.16, -1.97)  0.107
H (0.41, -4.70, -2.22)  0.101
H (-0.07, -5.06, -0.56)  0.043
H (2.72, -3.77, 1.39)  0.054
H (2.00, -5.24, 0.77)  0.098
H (0.04, -3.12, 1.73)  0.016
H (1.01, -3.91, 2.97)  0.084
S (2.16, -1.11, 1.74)  0.874
C (2.21, 0.49, 2.45)  -0.662
N (2.98, 0.69, 3.51)  0.065
C (2.85, 2.06, 4.03)  -0.061
C (1.73, 2.64, 3.13)  -0.059
N (1.51, 1.55, 2.15)  0.088
H (3.65, 0.01, 3.85)  0.163
H (3.79, 2.59, 3.90)  0.136
H (2.59, 2.05, 5.08)  0.137
H (2.01, 3.56, 2.64)  0.132
H (0.81, 2.80, 3.69)  0.138
H (0.76, 1.52, 1.47)  0.119
C (-4.41, 4.70, -1.50)  -0.033
C (-4.43, 3.57, -0.47)  -0.559
C (-4.17, 4.16, 0.92)  -0.062
C (-5.81, 2.90, -0.46)  -0.030
C (-3.38, 2.52, -0.85)  -0.133
C (-3.46, 1.90, -2.11)  0.012
C (-2.56, 0.94, -2.55)  0.054
C (-1.56, 0.61, -1.67)  -0.184
O (-0.52, -0.32, -1.81)  0.131
B (0.18, -0.25, -0.64)  -0.806
O (-0.33, 0.68, 0.23)  0.079
C (-1.46, 1.21, -0.44)  -0.165
C (-2.34, 2.16, 0.01)  0.078
H (-5.16, 5.45, -1.23)  0.098
H (-4.65, 4.35, -2.51)  0.083
H (-3.43, 5.19, -1.53)  0.093
H (-4.94, 4.90, 1.14)  0.098
H (-3.20, 4.67, 0.97)  0.087
H (-4.22, 3.40, 1.70)  0.089
H (-6.58, 3.64, -0.21)  0.098
H (-5.86, 2.10, 0.28)  0.095
H (-6.07, 2.49, -1.44)  0.085
H (-4.27, 2.18, -2.78)  0.124
H (-2.65, 0.48, -3.52)  0.138
H (-2.24, 2.61, 0.99)  0.119

- total charge = +3
- energy above the lowest of the compared OMol25 structures with the same formula, charge and spin (kcal/mol) = 31.4

----------

This record from the Open Molecules 2025 dataset describes C28H18FeIN5O6 as an isolated structure at a distorted geometry. The level of theory is the ωB97M-V functional and the def2-TZVPD basis.
└──

    For Each cell In rng 

    'you have to replace spaces with + 
    query = cell.Value 

    'You must acquire a google api key and enter it here 
    Dim googleKey As String 
    googleKey = "your_specific_key_goes_here" 'your api key here 

    'Send a "GET" request for place/textsearch 
    Set xhrRequest = New XMLHTTP60 

    xhrRequest.Open "GET", "https://maps.googleapis.com/maps/api/place/textsearch/xml?" & _ 
     "query=" & query & "&key=" & googleKey, False 

    'Save the response into a document 
    Set domDoc = New DOMDocument60 
    domDoc.LoadXML xhrRequest.responseText 

    'Find the first node that is called "place_id" and is the child of the "result" node 
    placeID = domDoc.SelectSingleNode("//result/place_id").Text 

    'recycling objects (could just use new ones) 
    Set domDoc = Nothing 
    Set xhrRequest = Nothing 

    'Send a "GET" request for place/details 
    Set xhrRequest = New XMLHTTP60 
    xhrRequest.Open "GET", "https://maps.googleapis.com/maps/api/place/details/xml?placeid=" & placeID & _ 
    "&key=" & googleKey, False 

    'Save the response into a document 
    Set domDoc = New DOMDocument60 
    domDoc.LoadXML xhrRequest.responseText 

    Dim output As String 
    Dim s As String 

    'hacky way to get postal code, you might want to rewrite this after learning more 
    Set nodes = domDoc.SelectNodes("//result/address_component/type") 
    For Each node In nodes 
     s = node.Text 
     If s = "street_number" Then 
      'this is bad, you should search for "long_name", what i did here was assume that "long_name was the first child" 
      'output = vbNewLine & "Postal Code: " & node.ParentNode.FirstChild.Text 
      cell.Offset(0, 1).Value = "Address: " & node.ParentNode.FirstChild.Text 
     End If 

     If s = "postal_code" Then 
      'this is bad, you should search for "long_name", what i did here was assume that "long_name was the first child" 
      'output = vbNewLine & "Postal Code: " & node.ParentNode.FirstChild.Text 
      cell.Offset(0, 2).Value = "Postal Code: " & node.ParentNode.FirstChild.Text 
     End If 
    Next node 

    Next cell 
    'MsgBox "Formatted Address: " & domDoc.SelectSingleNode("//result/formatted_address").Text & output 
End Sub 


